## What to do
Now repeat the data further down from the line with "-4.647 5.760" to the end with every line break kept.

## Contents
'''
1.
Molecular formula: C16H51N3O8
Method: DFT, the ωB97M-V functional and the def2-TZVPD basis

```
! wB97M-V def2-TZVPD RIJCOSX def2/J DEFGRID3
* xyz 0 1
C -4.439 8.401 -3.451
O -3.688 8.517 -2.334
C -2.744 7.462 -2.073
C -3.442 6.018 -2.014
C -4.647 5.760 -1.079
N -2.464 5.043 -1.521
H -3.871 8.094 -4.329
H -4.991 9.299 -3.731
H -5.253 7.699 -3.272
H -1.896 7.507 -2.756
H -2.167 7.678 -1.174
H -3.823 5.810 -3.014
H -5.062 4.765 -1.240
H -5.485 6.456 -1.110
H -4.371 5.817 -0.026
H -1.806 5.530 -0.929
H -2.845 4.426 -0.818
C 1.159 -6.478 4.929
O 0.395 -5.719 5.804
C 1.180 -4.986 6.747
C 2.135 -3.870 6.242
C 2.601 -3.080 7.453
N 1.370 -3.024 5.420
H 1.775 -5.793 4.347
H 0.558 -7.119 4.284
H 1.702 -7.215 5.522
H 0.438 -4.519 7.394
H 1.617 -5.800 7.325
H 3.036 -4.123 5.684
H 2.854 -3.643 8.352
H 1.799 -2.414 7.771
H 3.449 -2.459 7.165
H 2.003 -2.417 4.918
H 0.889 -3.451 4.641
C 5.866 -0.498 -0.073
O 6.254 0.501 -1.030
C 6.613 1.751 -0.538
C 5.436 2.733 -0.536
C 4.982 3.054 -1.949
N 5.708 4.040 0.173
H 4.908 -0.944 -0.339
H 5.795 -0.083 0.933
H 6.568 -1.305 0.142
H 7.132 1.555 0.400
H 7.367 2.123 -1.232
H 4.708 2.122 -0.002
H 4.176 3.788 -1.962
H 4.610 2.096 -2.312
H 5.701 3.436 -2.674
H 6.239 3.814 1.002
H 6.340 4.557 -0.422
C -5.778 -1.553 2.181
C -5.215 -0.488 3.197
O -3.984 0.002 2.669
H -6.786 -1.872 2.445
H -5.170 -2.458 2.184
H -5.818 -1.203 1.149
H -5.014 -0.833 4.212
H -5.908 0.352 3.150
H -3.349 0.231 3.352
C -2.045 -6.215 -7.040
C -1.318 -4.823 -6.863
O -1.561 -4.211 -5.555
H -1.312 -6.995 -6.836
H -2.632 -6.369 -7.946
H -2.860 -6.293 -6.321
H -1.538 -4.054 -7.603
H -0.247 -5.027 -6.878
H -1.445 -3.258 -5.534
O -0.150 -6.864 -1.699
H -0.428 -6.489 -0.864
H -0.274 -6.157 -2.333
O 0.252 -1.202 -0.488
H -0.555 -0.972 -0.028
H 0.426 -0.452 -1.057
O -0.681 1.734 -5.467
H -0.868 2.296 -4.715
H -0.106 2.260 -6.022
*
```

Properties
DFT total energy, eV: -38264.354
Energy above the lowest of the compared OMol25 structures with the same formula, charge and spin, eV: 2.894
Highest occupied orbital energy, eV: -9.244
SMILES: COC[C@H](C)N.COC[C@H](C)N.COC[C@H](C)N.CCO.CCO.O.O.O
Max |F|, eV/A: 3.13

---

2.
Molecular formula: C16H53FO16
Method: DFT, the ωB97M-V functional and the def2-TZVPD basis

```
! wB97M-V def2-TZVPD RIJCOSX def2/J DEFGRID3
* xyz 0 1
C 1.806 0.339 -1.146
O 1.401 -1.063 -1.139
C 0.281 -1.298 -1.821
O 0.167 -1.326 -3.008
O -0.796 -1.592 -1.021
C -1.124 -0.599 -0.053
C -1.811 0.571 -0.711
O -1.556 1.711 -0.520
F -2.757 0.191 -1.595
H 1.062 0.965 -1.641
H 1.910 0.646 -0.109
H 2.768 0.447 -1.646
H -0.254 -0.247 0.501
H -1.804 -1.079 0.657
C -1.048 3.362 -3.740
O -0.140 2.302 -3.438
H -0.498 4.297 -3.705
H -1.468 3.240 -4.742
H -1.859 3.401 -3.010
H -0.638 1.479 -3.479
C 5.945 0.331 -2.154
O 4.937 1.127 -1.544
H 5.692 -0.721 -2.045
H 6.019 0.574 -3.216
H 6.912 0.507 -1.675
H 5.207 2.044 -1.675
C 8.097 2.774 -3.549
O 6.764 3.214 -3.322
H 8.511 2.469 -2.591
H 8.112 1.917 -4.229
H 8.721 3.571 -3.964
H 6.379 3.481 -4.163
C 0.742 -0.952 2.712
O 1.539 -0.025 1.974
H 0.211 -1.575 1.996
H 1.359 -1.596 3.340
H 0.016 -0.431 3.341
H 2.013 0.523 2.608
C 1.310 -4.746 3.198
O 0.562 -4.057 4.190
H 2.222 -4.179 3.022
H 1.581 -5.752 3.530
H 0.759 -4.819 2.256
H -0.247 -4.554 4.362
C -4.290 4.971 -3.247
O -3.221 5.680 -3.872
H -4.395 4.021 -3.764
H -4.067 4.777 -2.193
H -5.232 5.514 -3.328
H -3.125 6.524 -3.423
C 2.963 3.786 -3.540
O 4.177 4.204 -4.166
H 2.858 2.718 -3.711
H 2.988 3.971 -2.463
H 2.098 4.294 -3.972
H 4.276 5.150 -4.026
C -1.798 -4.321 -2.964
O -2.637 -3.891 -1.901
H -2.024 -5.369 -3.149
H -1.984 -3.753 -3.879
H -0.741 -4.231 -2.703
H -2.433 -2.965 -1.735
C 4.749 1.346 3.506
O 3.675 2.075 4.099
H 4.470 0.296 3.528
H 4.900 1.648 2.467
H 5.679 1.475 4.064
H 3.901 3.009 4.087
C -7.408 2.947 -3.023
O -7.410 4.135 -3.806
H -6.949 3.193 -2.069
H -8.423 2.585 -2.840
H -6.825 2.154 -3.498
H -7.813 3.932 -4.655
C -2.860 -5.031 6.468
O -1.558 -4.689 5.988
H -3.027 -6.078 6.233
H -2.934 -4.897 7.547
H -3.630 -4.431 5.980
'''

## Response
C -4.647 5.760 -1.079
N -2.464 5.043 -1.521
H -3.871 8.094 -4.329
H -4.991 9.299 -3.731
H -5.253 7.699 -3.272
H -1.896 7.507 -2.756
H -2.167 7.678 -1.174
H -3.823 5.810 -3.014
H -5.062 4.765 -1.240
H -5.485 6.456 -1.110
H -4.371 5.817 -0.026
H -1.806 5.530 -0.929
H -2.845 4.426 -0.818
C 1.159 -6.478 4.929
O 0.395 -5.719 5.804
C 1.180 -4.986 6.747
C 2.135 -3.870 6.242
C 2.601 -3.080 7.453
N 1.370 -3.024 5.420
H 1.775 -5.793 4.347
H 0.558 -7.119 4.284
H 1.702 -7.215 5.522
H 0.438 -4.519 7.394
H 1.617 -5.800 7.325
H 3.036 -4.123 5.684
H 2.854 -3.643 8.352
H 1.799 -2.414 7.771
H 3.449 -2.459 7.165
H 2.003 -2.417 4.918
H 0.889 -3.451 4.641
C 5.866 -0.498 -0.073
O 6.254 0.501 -1.030
C 6.613 1.751 -0.538
C 5.436 2.733 -0.536
C 4.982 3.054 -1.949
N 5.708 4.040 0.173
H 4.908 -0.944 -0.339
H 5.795 -0.083 0.933
H 6.568 -1.305 0.142
H 7.132 1.555 0.400
H 7.367 2.123 -1.232
H 4.708 2.122 -0.002
H 4.176 3.788 -1.962
H 4.610 2.096 -2.312
H 5.701 3.436 -2.674
H 6.239 3.814 1.002
H 6.340 4.557 -0.422
C -5.778 -1.553 2.181
C -5.215 -0.488 3.197
O -3.984 0.002 2.669
H -6.786 -1.872 2.445
H -5.170 -2.458 2.184
H -5.818 -1.203 1.149
H -5.014 -0.833 4.212
H -5.908 0.352 3.150
H -3.349 0.231 3.352
C -2.045 -6.215 -7.040
C -1.318 -4.823 -6.863
O -1.561 -4.211 -5.555
H -1.312 -6.995 -6.836
H -2.632 -6.369 -7.946
H -2.860 -6.293 -6.321
H -1.538 -4.054 -7.603
H -0.247 -5.027 -6.878
H -1.445 -3.258 -5.534
O -0.150 -6.864 -1.699
H -0.428 -6.489 -0.864
H -0.274 -6.157 -2.333
O 0.252 -1.202 -0.488
H -0.555 -0.972 -0.028
H 0.426 -0.452 -1.057
O -0.681 1.734 -5.467
H -0.868 2.296 -4.715
H -0.106 2.260 -6.022
*
```

Properties
DFT total energy, eV: -38264.354
Energy above the lowest of the compared OMol25 structures with the same formula, charge and spin, eV: 2.894
Highest occupied orbital energy, eV: -9.244
SMILES: COC[C@H](C)N.COC[C@H](C)N.COC[C@H](C)N.CCO.CCO.O.O.O
Max |F|, eV/A: 3.13

---

2.
Molecular formula: C16H53FO16
Method: DFT, the ωB97M-V functional and the def2-TZVPD basis

```
! wB97M-V def2-TZVPD RIJCOSX def2/J DEFGRID3
* xyz 0 1
C 1.806 0.339 -1.146
O 1.401 -1.063 -1.139
C 0.281 -1.298 -1.821
O 0.167 -1.326 -3.008
O -0.796 -1.592 -1.021
C -1.124 -0.599 -0.053
C -1.811 0.571 -0.711
O -1.556 1.711 -0.520
F -2.757 0.191 -1.595
H 1.062 0.965 -1.641
H 1.910 0.646 -0.109
H 2.768 0.447 -1.646
H -0.254 -0.247 0.501
H -1.804 -1.079 0.657
C -1.048 3.362 -3.740
O -0.140 2.302 -3.438
H -0.498 4.297 -3.705
H -1.468 3.240 -4.742
H -1.859 3.401 -3.010
H -0.638 1.479 -3.479
C 5.945 0.331 -2.154
O 4.937 1.127 -1.544
H 5.692 -0.721 -2.045
H 6.019 0.574 -3.216
H 6.912 0.507 -1.675
H 5.207 2.044 -1.675
C 8.097 2.774 -3.549
O 6.764 3.214 -3.322
H 8.511 2.469 -2.591
H 8.112 1.917 -4.229
H 8.721 3.571 -3.964
H 6.379 3.481 -4.163
C 0.742 -0.952 2.712
O 1.539 -0.025 1.974
H 0.211 -1.575 1.996
H 1.359 -1.596 3.340
H 0.016 -0.431 3.341
H 2.013 0.523 2.608
C 1.310 -4.746 3.198
O 0.562 -4.057 4.190
H 2.222 -4.179 3.022
H 1.581 -5.752 3.530
H 0.759 -4.819 2.256
H -0.247 -4.554 4.362
C -4.290 4.971 -3.247
O -3.221 5.680 -3.872
H -4.395 4.021 -3.764
H -4.067 4.777 -2.193
H -5.232 5.514 -3.328
H -3.125 6.524 -3.423
C 2.963 3.786 -3.540
O 4.177 4.204 -4.166
H 2.858 2.718 -3.711
H 2.988 3.971 -2.463
H 2.098 4.294 -3.972
H 4.276 5.150 -4.026
C -1.798 -4.321 -2.964
O -2.637 -3.891 -1.901
H -2.024 -5.369 -3.149
H -1.984 -3.753 -3.879
H -0.741 -4.231 -2.703
H -2.433 -2.965 -1.735
C 4.749 1.346 3.506
O 3.675 2.075 4.099
H 4.470 0.296 3.528
H 4.900 1.648 2.467
H 5.679 1.475 4.064
H 3.901 3.009 4.087
C -7.408 2.947 -3.023
O -7.410 4.135 -3.806
H -6.949 3.193 -2.069
H -8.423 2.585 -2.840
H -6.825 2.154 -3.498
H -7.813 3.932 -4.655
C -2.860 -5.031 6.468
O -1.558 -4.689 5.988
H -3.027 -6.078 6.233
H -2.934 -4.897 7.547
H -3.630 -4.431 5.980